**Brief:**
Could you retype the part of the entries below that starts with the line with "Br: 0.7089" and stops after the one with "0.227], [0.742,"?
**Entries:**
~~~
(1)
A relaxed structure of UTaRh6. Source: the Alexandria database, functional PBE-GGA.

DFT formation energy   -59.7 kJ/mol of atoms
Symmetry   No. 123

abc: 3.9620 3.9620 7.9088
angles: 90.00 90.00 90.00
With the nearest neighbours (Å) after each atom.
Fractional positions:
Rh: 0.5000 0.0000 0.7440  2 Ta 2.77, 8 Rh 2.77-2.83, 2 U 2.83
Rh: 0.0000 0.5000 0.2560  8 Rh 2.77-2.83, 2 Ta 2.77, 2 U 2.83
Rh: 0.0000 0.5000 0.7440  8 Rh 2.77-2.83, 2 Ta 2.77, 2 U 2.83
Rh: 0.5000 0.5000 0.5000  8 Rh 2.77, 4 Ta 2.80
Rh: 0.5000 0.5000 0.0000  4 U 2.80, 8 Rh 2.83
Rh: 0.5000 0.0000 0.2560  2 Ta 2.77, 8 Rh 2.77-2.83, 2 U 2.83
Ta: 0.0000 0.0000 0.5000  12 Rh 2.77-2.80
U: 0.0000 0.0000 0.0000  12 Rh 2.80-2.83

***

(2)
A relaxed structure of RbGeBr6. Source: the Alexandria database, functional PBE-GGA.

E_form (uncorrected)   -0.620 eV per atom
Symmetry   No. 12

abc: 8.2270 12.2423 7.1867
angles: 31.60 59.00 52.79
With the nearest neighbours (Å) after each atom.
Fractional positions:
Ge: 0.5000 0.5000 0.0000  6 Br 2.49-2.50
Br: 0.7089 0.5850 0.0000  1 Ge 2.49
Br: 0.2911 0.4150 0.0000  1 Ge 2.49
Br: 0.2733 0.4339 0.4720  1 Ge 2.50
Br: 0.7267 0.5661 0.5280  1 Ge 2.50
Br: 0.7267 0.0941 0.4720  1 Ge 2.50
Br: 0.2733 0.9059 0.5280  1 Ge 2.50
Rb: 0.0000 0.0000 0.0000  4 Br 3.68

***

(3)
A relaxed structure of Pm2YSe3. Source: the Alexandria database, functional PBE-GGA.

Offset from the most stable computed form   0.000 eV/atom
E_form (uncorrected)   -1.810 eV per atom
Symmetry   No. 71

abc: 4.1672 5.8743 7.2055
angles: 114.06 106.81 90.00
With the nearest neighbours (Å) after each atom.
Fractional positions:
Se: 0.5000 0.0000 0.5000  2 Y 2.94, 4 Pm 2.98
Se: 0.8398 0.3398 0.1796  2 Y 2.89, 4 Pm 2.94-2.96
Se: 0.1602 0.6602 0.8204  2 Y 2.89, 4 Pm 2.94-2.96
Pm: 0.1708 0.1708 0.8416  6 Se 2.94-2.98
Pm: 0.8292 0.8292 0.1584  6 Se 2.94-2.98
Y: 0.5000 0.5000 0.5000  6 Se 2.89-2.94

***

(4)
A relaxed structure of Rb3SrZr. Source: the Alexandria database, functional PBE-GGA.

Offset from the most stable computed form   0.000 eV/atom
DFT formation energy   98.9 kJ/mol of atoms
Symmetry   No. 221

abc: 7.1025 7.1025 7.1025
angles: 90.00 90.00 90.00
With the nearest neighbours (Å) after each atom.
Fractional positions:
Sr: 0.5000 0.5000 0.5000  12 Rb 5.02
Rb: 0.0000 0.0000 0.5000  2 Zr 3.55
Rb: 0.5000 0.0000 0.0000  2 Zr 3.55
Rb: 0.0000 0.5000 0.0000  2 Zr 3.55
Zr: 0.0000 0.0000 0.0000  6 Rb 3.55

----------

Entry 1:
{
  "formula": "Ba2HgSe",
  "functional": "GGA-PBEsol",
  "state": "relaxed",
  "e_tot_ev_per_cell": -13.2,
  "space_group": "R-3m (166)",
  "e_form_raw_mev_per_atom": -1130,
  "lattice_angstrom": [[-0.185, -2.941, 3.501], [3.858, -1.784, 1.696], [1.807, 4.823, 7.137]],
  "species": ["Hg", "Se", "Ba", "Ba"],
  "fractional_positions": [[0.500, 0.500, 0.500], [0.000, 0.000, 0.000], [0.258, 0.258, 0.227], [0.742, 0.742, 0.773]]
}

Entry 2:
{
  "formula": "RePAuS2",
  "functional": "GGA-PBEsol",
  "state": "relaxed",
  "e_tot_ev_per_cell": -28.7,
  "space_group": "P4/mmm (123)",
  "e_form_raw_mev_per_atom": 624,
  "lattice_angstrom": [[-2.048, 3.185, 2.357], [-3.142, -2.922, 1.219], [2.616, -1.192, 3.884]],
  "species": ["S", "S", "Re", "Au", "P"],
  "fractional_positions": [[0.000, 0.500, 0.000], [0.500, 0.000, 0.000], [0.000, 0.000, 0.000], [0.500, 0.500, 0.500], [0.000, 0.000, 0.500]]
}

Entry 3:
{
  "formula": "MgAlIn2",
  "functional": "GGA-PBEsol",
  "state": "relaxed",
  "delta_e_f_ev_per_atom": 0.02,
  "e_tot_ev_per_cell": -11.7,
  "space_group": "I-4m2 (119)",
  "lattice_angstrom": [[4.361, 0.000, 0.000], [0.000, 4.361, 0.000], [-2.180, -2.180, 4.590]],
  "species": ["In", "In", "Mg", "Al"],
  "fractional_positions": [[0.000, 0.000, 0.000], [0.750, 0.250, 0.500], [0.500, 0.500, 0.000], [0.250, 0.750, 0.500]]
}

Entry 4:
{
  "formula": "Er2Ni2Sn",
  "functional": "GGA-PBEsol",
  "state": "relaxed",
  "delta_e_f_ev_per_atom": -0.64,
  "e_tot_ev_per_cell": -59.3,
  "space_group": "P4/mbm (127)",
~~~
**Completed:**
Br: 0.7089 0.5850 0.0000  1 Ge 2.49
Br: 0.2911 0.4150 0.0000  1 Ge 2.49
Br: 0.2733 0.4339 0.4720  1 Ge 2.50
Br: 0.7267 0.5661 0.5280  1 Ge 2.50
Br: 0.7267 0.0941 0.4720  1 Ge 2.50
Br: 0.2733 0.9059 0.5280  1 Ge 2.50
Rb: 0.0000 0.0000 0.0000  4 Br 3.68

***

(3)
A relaxed structure of Pm2YSe3. Source: the Alexandria database, functional PBE-GGA.

Offset from the most stable computed form   0.000 eV/atom
E_form (uncorrected)   -1.810 eV per atom
Symmetry   No. 71

abc: 4.1672 5.8743 7.2055
angles: 114.06 106.81 90.00
With the nearest neighbours (Å) after each atom.
Fractional positions:
Se: 0.5000 0.0000 0.5000  2 Y 2.94, 4 Pm 2.98
Se: 0.8398 0.3398 0.1796  2 Y 2.89, 4 Pm 2.94-2.96
Se: 0.1602 0.6602 0.8204  2 Y 2.89, 4 Pm 2.94-2.96
Pm: 0.1708 0.1708 0.8416  6 Se 2.94-2.98
Pm: 0.8292 0.8292 0.1584  6 Se 2.94-2.98
Y: 0.5000 0.5000 0.5000  6 Se 2.89-2.94

***

(4)
A relaxed structure of Rb3SrZr. Source: the Alexandria database, functional PBE-GGA.

Offset from the most stable computed form   0.000 eV/atom
DFT formation energy   98.9 kJ/mol of atoms
Symmetry   No. 221

abc: 7.1025 7.1025 7.1025
angles: 90.00 90.00 90.00
With the nearest neighbours (Å) after each atom.
Fractional positions:
Sr: 0.5000 0.5000 0.5000  12 Rb 5.02
Rb: 0.0000 0.0000 0.5000  2 Zr 3.55
Rb: 0.5000 0.0000 0.0000  2 Zr 3.55
Rb: 0.0000 0.5000 0.0000  2 Zr 3.55
Zr: 0.0000 0.0000 0.0000  6 Rb 3.55

----------

Entry 1:
{
  "formula": "Ba2HgSe",
  "functional": "GGA-PBEsol",
  "state": "relaxed",
  "e_tot_ev_per_cell": -13.2,
  "space_group": "R-3m (166)",
  "e_form_raw_mev_per_atom": -1130,
  "lattice_angstrom": [[-0.185, -2.941, 3.501], [3.858, -1.784, 1.696], [1.807, 4.823, 7.137]],
  "species": ["Hg", "Se", "Ba", "Ba"],
  "fractional_positions": [[0.500, 0.500, 0.500], [0.000, 0.000, 0.000], [0.258, 0.258, 0.227], [0.742, 0.742, 0.773]]